Activity
Please count the lines further down that contain the word "forces" and give the number alone.

File
'''
Record 1
The following is a quantum chemistry calculation of a cluster of 9 separate species, C35H80BrFIN3O11P in total, from OMol25.

Summary:
ΔE to the lowest compared entry with this formula, charge and spin: 3.393 eV
net charge: +1
Kohn-Sham gap: 6.2 eV

XYZ file:
```
133
Properties=species:S:1:pos:R:3:forces:R:3
N 4.840129 -3.413112 -0.300174 0.8 0.3 -0.4
C 5.358129 -2.077767 -0.748252 0.5 0.6 0.2
C 4.576922 -0.845102 -0.082931 -0.9 -0.8 -0.1
C 2.978170 -1.097069 0.074875 1.1 1.2 0.0
C 2.440677 0.129455 1.008848 -0.9 -0.9 -0.8
C 1.258508 -0.458152 1.969782 0.1 0.0 -1.1
C 0.070541 -0.879804 0.949475 1.6 0.3 2.0
N -0.004938 -2.249582 0.706325 -1.4 5.7 -0.3
N -0.973105 -2.487989 -0.177041 -1.4 0.0 -0.2
P -1.149433 -4.260289 -0.573155 1.2 -2.8 -1.1
O 0.224895 -5.048095 0.114231 -2.5 1.7 -0.4
Br -2.986180 -5.094568 0.524061 1.0 0.7 0.1
C -1.847206 -1.627667 -0.834474 -1.1 2.1 -0.4
C -2.893183 -2.219174 -1.904381 0.6 1.4 0.0
C -2.189384 -2.561948 -3.331623 -3.3 -3.4 -1.5
O -2.821860 -3.341202 -4.080060 3.0 3.5 2.9
I -0.243074 -1.746100 -3.867808 -1.0 -0.3 0.4
C -1.867829 -0.123179 -0.589835 3.2 -1.9 2.3
F -2.739671 0.794181 -1.188767 2.2 -2.5 1.4
C -0.771296 0.276335 0.420137 -1.8 -1.0 -1.8
O -0.523214 1.592482 0.837192 -1.2 -3.2 -1.3
H 4.994765 -4.076327 -1.082277 -0.1 0.5 1.0
H 5.444886 -3.705346 0.486864 -0.7 0.0 -0.7
H 5.312164 -2.024776 -1.892431 0.0 0.0 1.7
H 6.452631 -2.003324 -0.410950 -1.4 0.2 -0.8
H 4.965309 -0.644215 0.973285 -0.2 -0.2 -1.5
H 4.685244 0.077115 -0.752664 0.1 -1.2 1.1
H 2.741315 -2.109171 0.544904 0.5 1.3 -0.8
H 2.544623 -1.008432 -0.994134 0.3 -0.4 1.8
H 1.985284 0.884546 0.261638 0.8 -0.8 1.6
H 3.286307 0.600988 1.626513 -1.4 -0.7 -0.9
H 0.906762 0.310547 2.733512 0.3 -1.0 -1.1
H 1.670640 -1.387419 2.517592 -0.9 1.4 -1.0
H 0.039800 -6.008846 0.221707 0.0 0.7 -0.1
H -3.640230 -1.370744 -2.153040 1.3 -1.3 0.5
H -3.523877 -3.081665 -1.510501 1.1 0.9 -0.7
H -1.236476 2.140542 0.431443 0.6 -0.2 0.3
C -0.969764 -6.202788 -7.285582 0.0 0.0 -0.3
C 0.347460 -5.744732 -6.679789 -0.6 -0.1 0.4
C 0.615226 -6.433236 -5.350738 0.3 -0.1 0.1
O 0.312924 -4.332093 -6.483383 0.2 0.3 -0.1
H -1.808773 -5.958838 -6.625637 0.1 -0.1 0.1
H -1.154407 -5.691335 -8.233969 0.1 -0.1 0.1
H -0.968469 -7.281049 -7.464109 0.0 0.1 0.0
H 1.164597 -5.956596 -7.374380 0.0 0.2 0.1
H -0.169515 -6.197021 -4.623708 -0.1 -0.1 -0.1
H 1.559200 -6.085686 -4.921759 0.0 -0.1 -0.1
H 0.664322 -7.518375 -5.470794 0.0 0.1 0.1
H -0.407808 -4.134581 -5.869454 0.1 -0.1 -0.2
C 3.023964 -4.729747 -9.613223 -0.1 0.2 0.2
C 4.447893 -5.257510 -9.535700 -0.4 -0.3 -0.6
C 5.087203 -5.330992 -10.913361 0.3 0.1 0.0
O 4.440576 -6.556602 -8.946309 0.1 0.0 0.3
H 2.395314 -5.388776 -10.221065 0.1 0.0 -0.1
H 2.573801 -4.693283 -8.617539 0.1 0.1 -0.1
H 2.997690 -3.726442 -10.045932 -0.1 -0.1 0.0
H 5.044950 -4.609934 -8.887663 0.0 -0.2 0.1
H 4.530541 -6.011021 -11.566319 -0.1 0.1 0.1
H 6.105523 -5.722524 -10.843505 -0.1 0.1 0.0
H 5.122967 -4.345799 -11.385298 0.0 -0.1 0.0
H 3.914908 -7.137283 -9.512429 0.1 0.1 0.1
C -7.116882 0.751629 -0.926436 -0.2 0.1 0.3
C -6.585851 2.020832 -1.573828 0.1 -0.6 -0.3
C -6.369789 1.832662 -3.066855 -0.1 0.3 -0.2
O -5.350408 2.386780 -0.958142 0.2 0.3 0.2
H -6.405983 -0.073866 -1.044148 0.0 0.0 -0.2
H -7.256320 0.898051 0.148016 0.0 0.0 -0.1
H -8.072178 0.454306 -1.365652 0.1 0.0 0.0
H -7.288746 2.841067 -1.405074 0.2 0.0 0.1
H -5.633027 1.044625 -3.258755 -0.1 -0.1 0.1
H -5.977382 2.748654 -3.516534 -0.1 0.0 0.0
H -7.302507 1.568059 -3.570554 0.1 0.0 0.0
H -4.722215 1.667991 -1.101949 -0.3 0.1 0.0
C 7.467721 0.889253 3.973462 0.0 0.2 -0.2
C 6.385510 -0.171340 4.100131 0.7 -0.1 0.4
C 6.219920 -0.623793 5.541890 -0.3 -0.1 0.1
O 6.724162 -1.293961 3.286698 -0.3 -0.1 -0.3
H 8.437088 0.498244 4.298265 -0.1 0.0 0.1
H 7.584016 1.196648 2.930583 -0.1 0.0 0.1
H 7.228664 1.770939 4.573386 0.1 -0.1 0.0
H 5.436253 0.225803 3.727762 0.1 -0.2 -0.1
H 7.145781 -1.067308 5.921308 0.0 0.1 0.0
H 5.447315 -1.394208 5.616042 0.0 0.1 0.0
'''

Here it is
1